Listing >
- - -
VASP calculation (PBE with a Hubbard U) on a relaxed LiCoPO4 crystal.

Properties
Its space group is P1, No. 1. The calculation puts the excess energy over the best structure of this formula in the dataset at 81.4 meV/atom. The formation enthalpy at 0 K comes out at -2.327 eV/atom. The calculated density comes out at 3.51 g cm⁻³. For the total moment, the calculation gives 12.0 μB/cell.

The structure in POSCAR format:
```
LiCoPO4
1.0
-0.7860 3.2636 2.6679
1.9015 -8.9522 11.5030
4.6985 1.0830 0.0675
Li Co P O
4 4 4 16
direct
0.9944 0.2507 0.7344
0.9920 0.7493 0.2369
0.5072 0.2487 0.2343
0.5053 0.7513 0.7367
0.5432 0.5605 0.2928
0.5429 0.4395 0.7913
0.9587 0.0603 0.2904
0.9584 0.9395 0.7908
0.0057 0.3869 0.2462
0.0044 0.6133 0.7480
0.4955 0.1127 0.7460
0.4942 0.8872 0.2475
0.1738 0.3162 0.4270
0.1721 0.6838 0.9298
0.3273 0.1833 0.9274
0.3253 0.8168 0.4294
0.6925 0.1604 0.5110
0.6911 0.8394 0.0126
0.8092 0.3392 0.0110
0.8069 0.6611 0.5138
0.2556 0.0480 0.6061
0.2550 0.9519 0.1067
0.2454 0.4518 0.1065
0.2439 0.5488 0.6067
0.7701 0.5577 0.9300
0.7707 0.4419 0.4288
0.7298 0.0576 0.9285
0.7293 0.9423 0.4293
```

VASP calculation (PBE with a Hubbard U) on a relaxed LiMnFeF6 crystal.

Properties
Its space group is P321, No. 150. The formation enthalpy at 0 K comes out at -2.880 eV/atom. The calculated density comes out at 3.61 g cm⁻³. For the total moment, the calculation gives 30.0 μB/cell.

The structure in POSCAR format:
```
LiMnFeF6
1.0
4.4210 -7.6573 0.0000
4.4210 7.6573 0.0000
0.0000 0.0000 4.7276
Li Mn Fe F
3 3 3 18
direct
0.6667 0.3333 0.4954
0.0000 0.0000 0.0000
0.3333 0.6667 0.5046
0.0000 0.3541 0.0000
0.3541 0.0000 0.0000
0.6459 0.6459 0.0000
0.3131 0.3131 0.5000
0.6869 0.0000 0.5000
0.0000 0.6869 0.5000
0.8917 0.4685 0.2715
0.7841 0.5625 0.7217
0.4375 0.2216 0.7217
0.8862 0.1081 0.2431
0.2159 0.7784 0.2783
0.4685 0.8917 0.7285
0.5768 0.1083 0.2715
0.8919 0.7781 0.2431
0.5315 0.4232 0.2715
0.7784 0.2159 0.7217
0.1138 0.2219 0.7569
0.1083 0.5768 0.7285
0.1081 0.8862 0.7569
0.2216 0.4375 0.2783
0.2219 0.1138 0.2431
0.4232 0.5315 0.7285
0.5625 0.7841 0.2783
0.7781 0.8919 0.7569
```

VASP calculation (PBE with a Hubbard U) on a relaxed Li9Co15O28 crystal.

Properties
Its space group is P-1, No. 2. The formation enthalpy at 0 K comes out at -1.466 eV/atom. The calculated density comes out at 4.68 g cm⁻³. For the total moment, the calculation gives 32.0 μB/cell.

The structure in POSCAR format:
```
Li9Co15O28
1.0
-1.5828 -7.7455 2.3819
5.2348 -4.9874 -4.7850
2.9898 -0.4519 7.2410
Li Co O
9 15 28
direct
0.0000 0.5000 0.5000
0.1441 0.6439 0.7842
0.2860 0.2858 0.5650
0.5841 0.0729 0.6581
0.4322 0.4317 0.8651
0.5678 0.5683 0.1349
0.4159 0.9271 0.3419
0.7140 0.7142 0.4350
0.8559 0.3561 0.2158
0.0000 0.0000 0.0000
0.0658 0.0785 0.6423
0.0741 0.5675 0.1340
0.2163 0.2149 0.9267
0.5000 0.0000 0.0000
0.3584 0.3541 0.2109
0.2164 0.7078 0.4254
0.6386 0.1443 0.2880
0.5000 0.5000 0.5000
0.3614 0.8557 0.7120
0.7836 0.2922 0.5746
0.6416 0.6459 0.7891
0.7837 0.7851 0.0733
0.9259 0.4325 0.8660
0.9342 0.9215 0.3577
0.0232 0.2974 0.6070
0.0139 0.7762 0.0725
0.1244 0.3581 0.1826
0.2596 0.0045 0.9715
0.1617 0.4249 0.8758
0.3124 0.0782 0.6677
0.1694 0.9187 0.3814
0.3082 0.5533 0.1502
0.1273 0.8694 0.7152
0.2585 0.5102 0.5010
0.4120 0.1519 0.2751
0.4463 0.2037 0.9288
0.5843 0.3654 0.2437
0.4580 0.7117 0.4479
0.5420 0.2883 0.5521
0.4157 0.6346 0.7563
0.5537 0.7963 0.0712
0.5880 0.8481 0.7249
0.7415 0.4898 0.4990
0.8727 0.1306 0.2848
0.6918 0.4467 0.8498
0.8306 0.0813 0.6186
0.6876 0.9218 0.3323
0.8383 0.5751 0.1242
0.7404 0.9955 0.0285
0.8756 0.6419 0.8174
0.9861 0.2238 0.9275
0.9768 0.7026 0.3930
```

VASP calculation (PBE with a Hubbard U) on a relaxed LiMnH6O7 crystal.

Properties
Its space group is P6_3mc, No. 186. The formation enthalpy at 0 K comes out at -1.323 eV/atom. The calculated density comes out at 2.02 g cm⁻³. For the total moment, the calculation gives 0.0 μB/cell.

The structure in POSCAR format:
```
LiMnH6O7
1.0
3.8851 -6.7291 0.0000
- - -

Work order >
What is needed: set down every line further up that contains the word "Properties".

Written answer >
Properties
Properties
Properties
Properties